# Source
No. 1
This entry pairs a crystal structure of MgCo3 with its simulated powder XRD pattern. Radiation: Cu Kα (λ = 1.5418 Å). Structure: a cell relaxed with PBE.
Intensities are scaled so that the largest is 100.

Peak list (10 most intense, 2θ from 10° to 90°, sorted by position)
19.6°, intensity 16.7; 39.9°, intensity 24.6; 40.5°, intensity 12.3; 43.2°, intensity 39.4; 45.6°, intensity 100.0; 46.2°, intensity 47.6; 60.3°, intensity 13.3; 73.2°, intensity 14.2; 81.0°, intensity 16.4; 89.0°, intensity 16.7

Crystal structure
```
data_MgCo3
_chemical_formula_sum 'Mg4 Co12'
_space_group_name_H-M_alt 'C m c m'
_space_group_IT_number 63
_space_group_name_Hall '-C 2c 2'
_cell_length_a 5.2432
_cell_length_b 8.9137
_cell_length_c 4.1847
_cell_angle_alpha 90.00
_cell_angle_beta 90.00
_cell_angle_gamma 90.00
loop_
_atom_site_label
_atom_site_fract_x
_atom_site_fract_y
_atom_site_fract_z
Mg1 0.0000 0.0898 0.2500
Co1 0.0000 0.4141 0.7500
Co2 0.2426 0.3312 0.2500
```



No. 2
This entry pairs a crystal structure of Mg4Co with its simulated powder XRD pattern. Radiation: Cu Kα (λ = 1.5418 Å). Structure: a cell relaxed with PBE.
Intensities are scaled so that the largest is 100.

Peak list (10 most intense, 2θ from 10° to 90°, sorted by position)
13.9°, intensity 84.1; 16.3°, intensity 100.0; 35.2°, intensity 43.5; 36.4°, intensity 53.1; 38.4°, intensity 42.8; 38.6°, intensity 37.7; 43.7°, intensity 44.9; 45.2°, intensity 26.9; 46.3°, intensity 22.8; 69.9°, intensity 22.8

Crystal structure
```
data_Mg4Co
_chemical_formula_sum 'Mg16 Co4'
_space_group_name_H-M_alt 'I b a m'
_space_group_IT_number 72
_space_group_name_Hall '-I 2 2c'
_cell_length_a 6.0314
_cell_length_b 12.7295
_cell_length_c 5.1646
_cell_angle_alpha 90.00
_cell_angle_beta 90.00
_cell_angle_gamma 90.00
loop_
_atom_site_label
_atom_site_fract_x
_atom_site_fract_y
_atom_site_fract_z
Mg1 0.1480 0.1731 0.0000
Mg2 0.1652 0.4162 0.0000
Co1 0.0000 0.0000 0.2500
```



No. 3
This entry pairs a crystal structure of Mg6Co with its simulated powder XRD pattern. Radiation: Cu Kα (λ = 1.5418 Å). Structure: a cell relaxed with PBE.
Intensities are scaled so that the largest is 100.

Peak list (10 most intense, 2θ from 10° to 90°, sorted by position)
15.9°, intensity 16.8; 18.3°, intensity 33.4; 24.3°, intensity 51.5; 35.9°, intensity 100.0; 37.0°, intensity 16.2; 37.3°, intensity 22.5; 46.0°, intensity 42.7; 52.5°, intensity 13.6; 56.9°, intensity 24.7; 59.8°, intensity 18.7

Crystal structure
```
data_Mg6Co
_chemical_formula_sum 'Mg6 Co1'
_space_group_name_H-M_alt 'P -3 1 m'
_space_group_IT_number 162
_space_group_name_Hall '-P 3 2'
_cell_length_a 5.6054
_cell_length_b 5.6054
_cell_length_c 5.5639
_cell_angle_alpha 90.00
_cell_angle_beta 90.00
_cell_angle_gamma 120.00
loop_
_atom_site_label
_atom_site_fract_x
_atom_site_fract_y
_atom_site_fract_z
Mg1 0.0000 0.3547 0.2407
Co1 0.0000 0.0000 0.5000
```

# Work order
Your job: count the lines further up that contain the word "loop_" and give the number alone.

# Reply
3